A study lays out a new theory for the origin of the asteroid known as Ryugu, suggesting it originally formed alongside the ice giants Neptune and Uranus and spent time circling the sun as a comet before making its way to the asteroid belt near Earth. Above: an illustration depicting the Japanese spacecraft Hayabusa2 as it touched down on the asteroid.
Illustration by Akihiro Ikeshita

UChicago scientists analyzing Ryugu propose new theory for asteroid origins

An analysis of rock scooped directly from the surface of an asteroid by a Japanese spacecraft suggests that it was once a comet that lost its tail.

A study released Oct. 20 in Science Advances by an international team including scientists with the University of Chicago, Hokkaido University and the Tokyo Institute of Technology lays out a new theory for the origin of the asteroid known as Ryugu, suggesting it originally formed alongside the ice giants Neptune and Uranus and spent time circling the sun as a comet before making its way to the asteroid belt near Earth.

If confirmed, the finding has implications for our understanding of the early solar system and how the planets and asteroids ended up where they are today.

“That’s very exciting, because it means that by looking at asteroids in the main belt, we can learn about the solar system all the way out to where the ice giants were formed,” said co-author Nicolas Dauphas, Professor of Geophysical Sciences at the University of Chicago and an expert on the origin of the solar system.

Isotopic fingerprints

In 2018, a spacecraft launched by the Japanese space agency JAXA met a speeding asteroid and spent nearly a year taking readings and samples. Then it took off and returned to Earth in late 2020, with its precious payload of dust and rocks from the asteroid miraculously intact.

We have never had a pristine sample of an asteroid before; the ones that make it through Earth’s atmosphere to land as meteorites are altered by the process. And asteroids have a lot to tell us—they witnessed the formation of the planets and contain records of the conditions they experienced over the last billions of years. Scientists have been eagerly running every possible test on the fragments. 

Gloved scientists reach into a metal cage to open the Hayabusa 2 container
Researchers open the capsule containing the precious handful of dust and rock from the asteroid's surface. We have never had a pristine sample of an asteroid before; the ones that make it through Earth’s atmosphere to land as meteorites are altered by the process.
Photo courtesy of JAXA, University of Tokyo, Kyushu University, and JAMSTEC

One such analysis was run by an international team of scientists, including Dauphas and Timo Hopp—then a postdoctoral researcher at the University of Chicago—who analyzed the asteroid’s isotopic “fingerprint.”

Elements come in different flavors with different masses, which are called isotopes. Any given rock will have different amounts of different types of these isotopes. Because they vary depending on the source of their original material and the conditions around them, they can tell scientists quite a bit about the rock’s origins.

In particular, matching isotopic fingerprints can point to rocks that formed at the same place and time. The team found that Ryugu looked like part of a group called Ivuna-type carbonaceous chondrites. Based on these and other measurements made of the Ryugu samples, the scientists proposed a new theory for how the asteroid population of the solar system evolved.

Born with the ice giants

In the earliest days of the solar system, the young sun was surrounded by a disk of gas and dust known as a protoplanetary disk. Over time, the material clumped together, forming the planets we know and love today—as well as smaller chunks that became the asteroids. Many of them wound up in the “main belt” of asteroids between Mars and Jupiter. Previously, it was thought these asteroids hadn’t moved very much from where they formed.

But the scientists suggested that some of these asteroids came from much further out in the solar system. One group formed near the gas giants, Jupiter and Saturn. Another group formed even further out. “This reservoir was located in the outer regions of the protoplanetary disk, possibly in the vicinity of the birthplaces of the ice giants Uranus and Neptune,” said Hopp. That group is the one Ryugu matches.

Some of these faraway asteroids were flung away from the planets as comets. Eventually the sun’s gravity captured them, sucked them inwards, and burned off their water and tails. This is what the scientists think happened to Ryugu.

Because these asteroids formed so far away from the sun, they could contain ice that later melted. This matches with other analyses of Ryugu showing that the rock was weathered by water in its past.

The theory also lines up with the fact that scientists have catalogued three different types of meteorites that have fallen on Earth. They are known as carbonaceous chondrites (CC); non-carbonaceous chondrites (NC); and Ivuna-type carbonaceous chondrites (CI), an oddball group that is like carbonaceous chondrites but with different iron isotopic composition. In this theory, the NC group formed in the inner solar system and stayed there; the CC group formed near the gas giants; and the CI group formed near the ice giants.

“The new finding completely overturns our previous idea that Ryugu and CI were just a part of CC meteorites that were born in a similar location of the early solar system,” said co-author Prof. Tetsuya Yokoyama of the Tokyo Institute of Technology, whose lab processed and prepared the samples of Ryugu for testing. “I am happy that I have been involved in decoding a secret of the solar system in this manner.”

Misplaced data records >
____________
Below is Na3Sc2TiTe6 after structural relaxation, with properties calculated at the PBE level.

CIF file:
```
data_Na3Sc2TiTe6
_chemical_formula_sum 'Na3 Sc2 Ti1 Te6'
_cell_length_a 7.232
_cell_length_b 7.232
_cell_length_c 7.946
_cell_angle_alpha 98.73
_cell_angle_beta 98.73
_cell_angle_gamma 120.02
_symmetry_space_group_name_H-M 'P 1'
_symmetry_Int_Tables_number 1
_symmetry_space_group_name_Hall 'P 1'
loop_
_atom_site_label
_atom_site_type_symbol
_atom_site_fract_x
_atom_site_fract_y
_atom_site_fract_z
Te1 Te 0.603 0.928 0.783
Te2 Te 0.397 0.072 0.217
Sc1 Sc 0.334 0.666 0.000
Te3 Te 0.072 0.397 0.217
Na1 Na 0.500 0.500 0.500
Sc2 Sc 0.666 0.334 0.000
Na2 Na 0.170 0.830 0.500
Na3 Na 0.830 0.170 0.500
Te4 Te 0.928 0.603 0.783
Te5 Te 0.748 0.748 0.218
Ti1 Ti 0.000 0.000 0.000
Te6 Te 0.252 0.252 0.782
```

Summary:
E_form (uncorrected) ... -1038.0 meV/atom
SG ... C2/m (12)

---

Below is CaCr2Rh after structural relaxation, with properties calculated at the PBE level.

CIF file:
```
data_CaCr2Rh
_chemical_formula_sum 'Ca1 Cr2 Rh1'
_cell_length_a 5.312
_cell_length_b 5.312
_cell_length_c 5.312
_cell_angle_alpha 139.51
_cell_angle_beta 139.51
_cell_angle_gamma 58.60
_symmetry_space_group_name_H-M 'P 1'
_symmetry_Int_Tables_number 1
_symmetry_space_group_name_Hall 'P 1'
loop_
_atom_site_label
_atom_site_type_symbol
_atom_site_fract_x
_atom_site_fract_y
_atom_site_fract_z
Cr1 Cr 0.500 0.500 0.000
Cr2 Cr 0.000 0.000 0.000
Ca1 Ca 0.750 0.250 0.500
Rh1 Rh 0.250 0.750 0.500
```

Summary:
SG ... I4/mmm (139)
Polymorph energy (0 for the lowest one) ... 44.93 kJ per mole of atoms
Formation enthalpy at 0 K ... 0.69 eV/atom

---

| no. | density of states at the Fermi level (states/eV/cell) |
| --- | --- |
| 1 | 6.1 |
| 2 | 6.2 |

=====

Entry 1:
This record from Alexandria describes a relaxed structure of ScTlPb2. The functional is PBE.

energy of formation from the pure elements	-33	kJ/mol of formula units
magnetic moment	0.000	μB per atom
theoretical density	10.1	Mg/m³

a = 6.2178 Å, b = 6.2178 Å, c = 6.2178 Å
α = 137.43°, β = 137.43°, γ = 61.78°
Closest atoms and distances in Å follow each position.
Positions (direct):
Sc 0.0000 0.0000 0.0000  8 Pb 3.19-3.49, 4 Tl 3.49
Tl 0.2500 0.7500 0.5000  8 Pb 3.19-3.49, 4 Sc 3.49
Pb 0.5000 0.5000 0.0000  4 Sc 3.19, 4 Tl 3.49, 4 Pb 3.49
Pb 0.7500 0.2500 0.5000  4 Tl 3.19, 4 Pb 3.49, 4 Sc 3.49


Entry 2:
This record from Alexandria describes a relaxed structure of ScTlPb2. The functional is PBE.

energy of formation from the pure elements	-29	kJ/mol of formula units
magnetic moment	0.000	μB per atom
theoretical density	10.0	Mg/m³

a = 3.6756 Å, b = 4.4855 Å, c = 6.6808 Å
α = 90.00°, β = 93.76°, γ = 90.00°
Closest atoms and distances in Å follow each position.
Positions (direct):
Sc 0.0000 0.0000 0.0000  6 Pb 3.18-3.34, 4 Tl 3.21-3.49
Tl 0.4590 0.5000 0.2502  5 Pb 3.14-3.38, 4 Sc 3.21-3.49
Pb 0.5047 0.5000 0.7819  1 Tl 3.14, 4 Sc 3.18-3.31, 4 Pb 3.46
Pb 0.9718 0.0000 0.4992  4 Tl 3.31-3.38, 2 Sc 3.34, 6 Pb 3.46-3.68
____________

“There is more work to be done to confirm this theory, but if it’s true, it would be very exciting because it’s very difficult to bring back samples from those regions of the solar system,” explained Dauphas. “But in this case, we could look at these asteroids near us and learn about things much further away. We are probably sampling some of the material that was in the outer disk when the sun was born.”

In the next decades, scientists are expecting the arrival of several more pristine samples retrieved by spacecraft; each one will reveal more about the history of our solar system.

“That’s the excitement of exploring the unknown—you never know what you’re going to find,” Dauphas said.

Reentry capsule
An artist's illustration of Hayabusa2's reentry into the Earth's atmosphere after its journey to the asteroid.
Illustration by Akihiro Ikeshita

Samples were provided by the Smithsonian National Museum of Natural History, the Robert A. Pritzker Center for Meteoritics at the Field Museum, the Muséum National d’Histoire Naturelle, and the Institut für Planetologie in Münster. Additional co-authors included scientists with Tokyo Denki University, the Museum National d'Histoire Naturelle in France, the  Carnegie Institution for Science, Washington University of St. Louis, the University of Tokyo, the Chinese Academy of Sciences, the University of Copenhagen, Universität Bayreut, Institut de physique du globe de Paris, Seoul National University, the University of Gottingen, Ibaraki University, JAXA, Nagoya University, Rigaku Corporation, the Max Planck Institute for Chemistry, University of Hawai’i at Manoa, Horiba Techno Service Company, The University of Queensland, JAMSTEC, Kyoto University, the University of Wisconsin-Madison, the Max Planck Institute for Solar System Research, UCLA, Lawrence Livermore National Laboratory, Southwest Research Institute, NASA Johnson Space Center, Arizona State University, Korea Polar Research Institute, CNRS - Université de Lorraine, University of Science and Technology of China, Natural History Museum of London, ETH Zurich, Osaka University, Japan Synchrotron Radiation Research Institute, the University of Maryland, Okayama University, University of California Davis, National Museum of Nature and Science of Japan, Nanjing University, Tohoku University, Tokyo University of Science; , Kyushu University, Hiroshima University, and the Kanagawa Institute of Technology.

Citation: “Ryugu’s nucleosynthetic heritage from the outskirts of the Solar System.” Hopp et al, Science Advances, Oct. 20, 2022.

Funding: NASA, National Science Foundation, U.S. Department of Energy, Kaken-hi grants.